Assignment
What is needed: print everything underneath word for word.

File
~~~
(1)
CeScCd2 after structural relaxation, computed with PBE-GGA. Values from VASP.

```
&SYSTEM
  ibrav = 0, nat = 4, ntyp = 3
/
ATOMIC_SPECIES
Sc 44.96 Sc.upf
Ce 140.12 Ce.upf
Cd 112.41 Cd.upf
CELL_PARAMETERS angstrom
-1.9463 1.9250 -1.9968
-2.0920 -4.4832 -2.2830
-3.9390 -0.0785 3.7638
ATOMIC_POSITIONS crystal
Sc 0.5000 0.0000 0.0000
Ce 0.5000 0.5000 0.5000
Cd 0.0000 0.0000 0.5000
Cd 0.0000 0.5000 0.0000
```

Summary:
- distance to the lowest polymorph of the same formula (meV/atom) = 80
- VASP energy (eV per atom) = -3.662
- total moment (μB/cell) = 1.433
- energy relative to the elements (eV per formula unit) = -0.6

=====

(2)
La3ThHg6 after structural relaxation, computed with PBE-GGA. Values from VASP.

```
&SYSTEM
  ibrav = 0, nat = 20, ntyp = 3
/
ATOMIC_SPECIES
La 138.91 La.upf
Th 232.04 Th.upf
Hg 200.59 Hg.upf
CELL_PARAMETERS angstrom
5.3454 0.0000 0.0000
0.0000 9.2171 -2.9384
0.0000 -0.0067 11.5038
ATOMIC_POSITIONS crystal
La 0.2500 0.5123 0.3818
La 0.7500 0.4877 0.6182
La 0.2500 0.3502 0.7853
La 0.7500 0.6498 0.2147
La 0.2500 0.7734 0.9870
La 0.7500 0.2266 0.0130
Th 0.2500 0.9413 0.6108
Th 0.7500 0.0587 0.3892
Hg 0.2500 0.4698 0.0837
Hg 0.7500 0.5302 0.9163
Hg 0.2500 0.1374 0.1922
Hg 0.7500 0.8626 0.8078
Hg 0.2500 0.6609 0.6961
Hg 0.7500 0.3391 0.3039
Hg 0.2500 0.2379 0.4928
Hg 0.7500 0.7621 0.5072
Hg 0.2500 0.8518 0.3100
Hg 0.7500 0.1482 0.6900
Hg 0.2500 0.0647 0.8977
Hg 0.7500 0.9353 0.1023
```

Summary:
- VASP energy (eV per atom) = -2.793
- total moment (μB/cell) = 0.000
- energy relative to the elements (eV per formula unit) = -3.9

----------

(1)
Compound: Ac2Tl3FeO6
Source: Alexandria
Functional: PBE with a Hubbard U
Structure: optimized geometry

Summary:
**Calculated total energy**: -71.78 eV per cell
**Space-group type**: No. 12
**Mass density**: 9.11 Mg/m³

Cell lengths 6.2836, 6.2836, 6.7321 Å; angles 98.89, 98.89, 118.69 degrees
Last column: magnetic moment on the atom in μB.
Element x y z (fractional)
Ac 0.3319 0.6681 0.0000  0.01
Ac 0.6681 0.3319 0.0000  0.01
O 0.7692 0.7692 0.2125  0.07
O 0.3398 0.0601 0.1601  0.09
O 0.6602 0.9399 0.8399  0.09
O 0.2308 0.2308 0.7875  0.07
O 0.9399 0.6602 0.8399  0.09
O 0.0601 0.3398 0.1601  0.09
Tl 0.5000 0.5000 0.5000  0.01
Tl 0.8437 0.1563 0.5000  0.01
Tl 0.1563 0.8437 0.5000  0.01
Fe 0.0000 0.0000 0.0000  4.28

(2)
Compound: AcTl2FeO6
Source: Alexandria
Functional: PBE with a Hubbard U
Structure: optimized geometry

Summary:
**Calculated total energy**: -57.05 eV per cell
**Space-group type**: No. 1
**Mass density**: 8.94 Mg/m³

Cell lengths 5.7475, 5.7244, 6.0909 Å; angles 61.92, 62.00, 60.41 degrees
Last column: magnetic moment on the atom in μB.
Element x y z (fractional)
O 0.1514 0.3866 0.7845  -0.03
O 0.5718 0.2226 0.2400  -0.02
O 0.3856 0.6791 0.7828  -0.03
O 0.9622 0.5730 0.2408  -0.02
O 0.2280 0.9630 0.2378  -0.02
O 0.6799 0.1563 0.7796  -0.03
Tl 0.0186 0.0178 0.9422  0.00
Tl 0.5374 0.5388 0.3843  0.00
Ac 0.8017 0.8003 0.5977  -0.01
Fe 0.3251 0.3241 0.0255  1.18

(3)
Compound: Ac2UFeO6
Source: Alexandria
Functional: PBE with a Hubbard U
Structure: optimized geometry

Summary:
**Calculated total energy**: -80.08 eV per cell
**Fermi-level density of states**: 0.406 states/eV/atom
**Space-group type**: No. 99
**Mass density**: 9.27 Mg/m³

Cell lengths 4.4931, 5.7989, 5.7989 Å; angles 90.00, 90.00, 90.00 degrees
Last column: magnetic moment on the atom in μB.
Element x y z (fractional)
O 0.6884 0.2569 0.7431  -0.03
O 0.6884 0.7431 0.2569  -0.03
O 0.6884 0.7431 0.7431  -0.03
O 0.6884 0.2569 0.2569  -0.03
O 0.1180 0.0000 0.0000  -0.04
O 0.1567 0.5000 0.5000  0.00
Ac 0.0658 0.5000 0.0000  0.05
Ac 0.0658 0.0000 0.5000  0.05
U 0.6100 0.0000 0.0000  1.77
Fe 0.6767 0.5000 0.5000  -0.01

(4)
Compound: AcUFeO5
Source: Alexandria
Functional: PBE with a Hubbard U
Structure: optimized geometry

Summary:
**Calculated total energy**: -137.43 eV per cell
**Space-group type**: No. 15
**Mass density**: 7.63 Mg/m³
~~~

Reply
(1)
CeScCd2 after structural relaxation, computed with PBE-GGA. Values from VASP.

```
&SYSTEM
  ibrav = 0, nat = 4, ntyp = 3
/
ATOMIC_SPECIES
Sc 44.96 Sc.upf
Ce 140.12 Ce.upf
Cd 112.41 Cd.upf
CELL_PARAMETERS angstrom
-1.9463 1.9250 -1.9968
-2.0920 -4.4832 -2.2830
-3.9390 -0.0785 3.7638
ATOMIC_POSITIONS crystal
Sc 0.5000 0.0000 0.0000
Ce 0.5000 0.5000 0.5000
Cd 0.0000 0.0000 0.5000
Cd 0.0000 0.5000 0.0000
```

Summary:
- distance to the lowest polymorph of the same formula (meV/atom) = 80
- VASP energy (eV per atom) = -3.662
- total moment (μB/cell) = 1.433
- energy relative to the elements (eV per formula unit) = -0.6

=====

(2)
La3ThHg6 after structural relaxation, computed with PBE-GGA. Values from VASP.

```
&SYSTEM
  ibrav = 0, nat = 20, ntyp = 3
/
ATOMIC_SPECIES
La 138.91 La.upf
Th 232.04 Th.upf
Hg 200.59 Hg.upf
CELL_PARAMETERS angstrom
5.3454 0.0000 0.0000
0.0000 9.2171 -2.9384
0.0000 -0.0067 11.5038
ATOMIC_POSITIONS crystal
La 0.2500 0.5123 0.3818
La 0.7500 0.4877 0.6182
La 0.2500 0.3502 0.7853
La 0.7500 0.6498 0.2147
La 0.2500 0.7734 0.9870
La 0.7500 0.2266 0.0130
Th 0.2500 0.9413 0.6108
Th 0.7500 0.0587 0.3892
Hg 0.2500 0.4698 0.0837
Hg 0.7500 0.5302 0.9163
Hg 0.2500 0.1374 0.1922
Hg 0.7500 0.8626 0.8078
Hg 0.2500 0.6609 0.6961
Hg 0.7500 0.3391 0.3039
Hg 0.2500 0.2379 0.4928
Hg 0.7500 0.7621 0.5072
Hg 0.2500 0.8518 0.3100
Hg 0.7500 0.1482 0.6900
Hg 0.2500 0.0647 0.8977
Hg 0.7500 0.9353 0.1023
```

Summary:
- VASP energy (eV per atom) = -2.793
- total moment (μB/cell) = 0.000
- energy relative to the elements (eV per formula unit) = -3.9

----------

(1)
Compound: Ac2Tl3FeO6
Source: Alexandria
Functional: PBE with a Hubbard U
Structure: optimized geometry

Summary:
**Calculated total energy**: -71.78 eV per cell
**Space-group type**: No. 12
**Mass density**: 9.11 Mg/m³

Cell lengths 6.2836, 6.2836, 6.7321 Å; angles 98.89, 98.89, 118.69 degrees
Last column: magnetic moment on the atom in μB.
Element x y z (fractional)
Ac 0.3319 0.6681 0.0000  0.01
Ac 0.6681 0.3319 0.0000  0.01
O 0.7692 0.7692 0.2125  0.07
O 0.3398 0.0601 0.1601  0.09
O 0.6602 0.9399 0.8399  0.09
O 0.2308 0.2308 0.7875  0.07
O 0.9399 0.6602 0.8399  0.09
O 0.0601 0.3398 0.1601  0.09
Tl 0.5000 0.5000 0.5000  0.01
Tl 0.8437 0.1563 0.5000  0.01
Tl 0.1563 0.8437 0.5000  0.01
Fe 0.0000 0.0000 0.0000  4.28

(2)
Compound: AcTl2FeO6
Source: Alexandria
Functional: PBE with a Hubbard U
Structure: optimized geometry

Summary:
**Calculated total energy**: -57.05 eV per cell
**Space-group type**: No. 1
**Mass density**: 8.94 Mg/m³

Cell lengths 5.7475, 5.7244, 6.0909 Å; angles 61.92, 62.00, 60.41 degrees
Last column: magnetic moment on the atom in μB.
Element x y z (fractional)
O 0.1514 0.3866 0.7845  -0.03
O 0.5718 0.2226 0.2400  -0.02
O 0.3856 0.6791 0.7828  -0.03
O 0.9622 0.5730 0.2408  -0.02
O 0.2280 0.9630 0.2378  -0.02
O 0.6799 0.1563 0.7796  -0.03
Tl 0.0186 0.0178 0.9422  0.00
Tl 0.5374 0.5388 0.3843  0.00
Ac 0.8017 0.8003 0.5977  -0.01
Fe 0.3251 0.3241 0.0255  1.18

(3)
Compound: Ac2UFeO6
Source: Alexandria
Functional: PBE with a Hubbard U
Structure: optimized geometry

Summary:
**Calculated total energy**: -80.08 eV per cell
**Fermi-level density of states**: 0.406 states/eV/atom
**Space-group type**: No. 99
**Mass density**: 9.27 Mg/m³

Cell lengths 4.4931, 5.7989, 5.7989 Å; angles 90.00, 90.00, 90.00 degrees
Last column: magnetic moment on the atom in μB.
Element x y z (fractional)
O 0.6884 0.2569 0.7431  -0.03
O 0.6884 0.7431 0.2569  -0.03
O 0.6884 0.7431 0.7431  -0.03
O 0.6884 0.2569 0.2569  -0.03
O 0.1180 0.0000 0.0000  -0.04
O 0.1567 0.5000 0.5000  0.00
Ac 0.0658 0.5000 0.0000  0.05
Ac 0.0658 0.0000 0.5000  0.05
U 0.6100 0.0000 0.0000  1.77
Fe 0.6767 0.5000 0.5000  -0.01

(4)
Compound: AcUFeO5
Source: Alexandria
Functional: PBE with a Hubbard U
Structure: optimized geometry

Summary:
**Calculated total energy**: -137.43 eV per cell
**Space-group type**: No. 15
**Mass density**: 7.63 Mg/m³